Now count the lines below that contain the word "Zn" and give the number alone.

1.
This record from Alexandria via LeMat-Bulk describes an optimized crystal structure of Y2Ni17. The functional is PBE.

Lattice parameters (Å, degrees): 6.253 6.253 6.253 83.07 83.07 83.07
Each line ends with the local moment (μB).
Positions (direct):
Ni 0.293 0.707 0.000  0.47
Ni 0.846 0.346 0.346  0.45
Ni 0.154 0.654 0.654  0.45
Ni 0.707 0.293 0.000  0.47
Ni 0.099 0.099 0.099  0.45
Ni 0.293 0.000 0.707  0.47
Ni 0.000 0.500 0.000  0.52
Ni 0.901 0.901 0.901  0.45
Ni 0.707 0.000 0.293  0.47
Ni 0.346 0.846 0.346  0.45
Ni 0.000 0.293 0.707  0.47
Ni 0.346 0.346 0.846  0.45
Ni 0.500 0.000 0.000  0.52
Ni 0.654 0.654 0.154  0.45
Ni 0.000 0.707 0.293  0.47
Ni 0.654 0.154 0.654  0.45
Ni 0.000 0.000 0.500  0.52
Y 0.660 0.660 0.660  -0.08
Y 0.340 0.340 0.340  -0.08

Summary:
Formation enthalpy at 0 K = -18 kJ/mol of atoms
Volume = 12.61 Å³ per atom
Energy = -114.830 eV for the cell shown
Calculated density = 8.15 g/cm3

2.
This record from Alexandria via LeMat-Bulk describes an optimized crystal structure of Li2CoPt. The functional is PBE.

Lattice parameters (Å, degrees): 4.625 4.625 4.451 78.43 78.43 33.64
Each line ends with the local moment (μB).
Positions (direct):
Li 0.501 0.501 0.501  -0.03
Li 0.999 0.999 0.999  -0.03
Co 0.250 0.250 0.250  1.32
Pt 0.750 0.750 0.750  0.09

Summary:
Formation enthalpy at 0 K = -24 kJ/mol of atoms
Volume = 12.89 Å³ per atom
Energy = -17.957 eV for the cell shown
Calculated density = 8.63 g/cm3

3.
This record from Alexandria via LeMat-Bulk describes an optimized crystal structure of CuAg3Sn6. The functional is PBE.

Lattice parameters (Å, degrees): 7.410 6.716 9.486 90.00 93.26 90.00
Positions (direct):
Ag 0.500 0.500 0.000
Ag 0.527 0.771 0.731
Ag 0.973 0.271 0.769
Ag 0.473 0.229 0.269
Ag 0.000 0.000 0.500
Ag 0.027 0.729 0.231
Sn 0.849 0.642 0.926
Sn 0.662 0.616 0.268
Sn 0.352 0.888 0.089
Sn 0.151 0.358 0.074
Sn 0.648 0.112 0.911
Sn 0.349 0.858 0.426
Sn 0.838 0.116 0.232
Sn 0.651 0.142 0.574
Sn 0.162 0.884 0.768
Sn 0.852 0.612 0.589
Sn 0.338 0.384 0.732
Sn 0.148 0.388 0.411
Cu 0.500 0.500 0.500
Cu 0.000 0.000 0.000

Summary:
Formation enthalpy at 0 K = 5 kJ/mol of atoms
Volume = 23.57 Å³ per atom
Energy = -72.242 eV for the cell shown
Calculated density = 7.75 g/cm3

4.
This record from Alexandria via LeMat-Bulk describes an optimized crystal structure of V2ZnFeH. The functional is PBE.

Lattice parameters (Å, degrees): 3.790 3.790 3.717 90.00 90.00 90.00
Each line ends with the local moment (μB).
Positions (direct):
Fe 0.000 0.000 0.500  1.83
V 0.000 0.500 0.000  -0.13
V 0.500 0.000 0.000  -0.13
Zn 0.500 0.500 0.500  -0.01
H 0.000 0.000 0.000  0.00

Summary:
Volume = 10.68 Å³ per atom
Energy = -31.543 eV for the cell shown
Calculated density = 6.97 g/cm3

5.
This record from Alexandria via LeMat-Bulk describes an optimized crystal structure of Li2HgSe. The functional is PBE.

Lattice parameters (Å, degrees): 3.525 3.249 7.547 64.46 90.00 90.00
Positions (direct):
Li 0.000 0.945 0.054
Li 0.000 0.555 0.446
Se 0.500 0.250 0.250
Hg 0.500 0.750 0.750

Summary:
Energy relative to the elements, uncorrected = -0.643 eV per atom
Volume = 19.49 Å³ per atom
Energy = -10.186 eV for the cell shown
Calculated density = 6.25 g/cm3

6.
This record from Alexandria via LeMat-Bulk describes an optimized crystal structure of PmHgSb. The functional is PBE.

Lattice parameters (Å, degrees): 5.213 5.213 5.213 60.00 60.00 60.00
Positions (direct):
Sb 0.500 0.500 0.500
Hg 0.000 0.000 0.000
Pm 0.250 0.250 0.250

Summary:
Energy relative to the elements, uncorrected = -0.538 eV per atom
Volume = 33.39 Å³ per atom
Energy = -10.789 eV for the cell shown
Calculated density = 7.75 g/cm3

7.
This record from Alexandria via LeMat-Bulk describes an optimized crystal structure of KRb3. The functional is PBE.

Lattice parameters (Å, degrees): 8.047 9.936 9.936 120.00 90.00 90.00
Positions (direct):
Rb 0.750 0.338 0.169
Rb 0.750 0.831 0.169
Rb 0.250 0.169 0.338
Rb 0.750 0.831 0.662
Rb 0.250 0.662 0.831
Rb 0.250 0.169 0.831

1